Work order >
Transcribe everything below without altering anything, please.

Input >
<<<
First-principles (GGA-PBE) data for a relaxed structure of YRhW2, as listed in Materials Project.

Calculated values
For the final energy, the calculation gives -37.2 eV for the cell shown. The formation energy comes out at 0.64 eV per atom. Its space-group type is No. 225. Its total magnetic moment is 0.000 μB per atom.

Lattice parameters (Å, degrees): 4.622 4.622 4.622 60.00 60.00 60.00
Fractional coordinates of all 4 atoms:
1 Y 0.000 0.000 0.000
2 Rh 0.500 0.500 0.500
3 W 0.250 0.250 0.250
4 W 0.750 0.750 0.750
>>>

Reply >
First-principles (GGA-PBE) data for a relaxed structure of YRhW2, as listed in Materials Project.

Calculated values
For the final energy, the calculation gives -37.2 eV for the cell shown. The formation energy comes out at 0.64 eV per atom. Its space-group type is No. 225. Its total magnetic moment is 0.000 μB per atom.

Lattice parameters (Å, degrees): 4.622 4.622 4.622 60.00 60.00 60.00
Fractional coordinates of all 4 atoms:
1 Y 0.000 0.000 0.000
2 Rh 0.500 0.500 0.500
3 W 0.250 0.250 0.250
4 W 0.750 0.750 0.750